After 3 months I've found myself in the middle of Monsoon time in Nepal. It seems for the majority of the year the Nepali people wear open shoes... Its interesting for an aussie chick, being here, as its always hot and humid, you can not escape it. Compared to my home town on Phillip Island in the South of Australia where your greeted most days with a cool southerly wind coming up from Antartica over the Bass Strait. I never realised how much you can become part of your environment in a way that climates can impact you so much.
**Someone pasted data records at this point**
{
  "formula": "Na7Ti2In2Si3P3O24",
  "functional": "PBE",
  "state": "relaxed",
  "sg": "P1",
  "e_form_ev_per_atom": -2.769,
  "lattice_angstrom": [[-5.258, 5.980, -4.348], [-3.284, -8.167, 2.207], [-6.951, 8.041, 19.462]],
  "species": ["Na", "Na", "Na", "Na", "Na", "Na", "Na", "Na", "Na", "Na", "Na", "Na", "Na", "Na", "Na", "Na", "Na", "Na", "Na", "Na", "Na", "Ti", "Ti", "Ti", "Ti", "Ti", "Ti", "In", "In", "In", "In", "In", "In", "Si", "Si", "Si", "Si", "Si", "Si", "Si", "Si", "Si", "P", "P", "P", "P", "P", "P", "P", "P", "P", "O", "O", "O", "O", "O", "O", "O", "O", "O", "O", "O", "O", "O", "O", "O", "O", "O", "O", "O", "O", "O", "O", "O", "O", "O", "O", "O", "O", "O", "O", "O", "O", "O", "O", "O", "O", "O", "O", "O", "O", "O", "O", "O", "O", "O", "O", "O", "O", "O", "O", "O", "O", "O", "O", "O", "O", "O", "O", "O", "O", "O", "O", "O", "O", "O", "O", "O", "O", "O", "O", "O", "O"],
**The piece goes on**
Despite the guilt I feel, I am willing the gods to open the skies up and pour down rain to cool me down, everyday I am willing it to rain. The worst part is the Nepali people always look the same, even wearing jumpers and long pants in the middle of this heat. They are always looking fresh.
Watching the boys playing soccer yesterday for 2 hours in the heat was so amazing to me, barely stopping for a breather or a drink. These guys have stamina!!! Albeit they were completely wet head to toe after that, not surprisingly so.
Yesterday as I was strolling along the Fewa Lake in Pokhara I found myself willing the rain and as I watched the sky and sat looking across the beautiful lake. I could not help wonder if the purpose of the Monsoon is to create gratitude and humbleness. There is something about the magnitude of the wild sky grumbling, growling, rolling and rumbling before she opens up her skies and the rain falls. As she was building those grey clouds over the previous 2 hours the humidity rose to such a level that the air was so wet and sticky you could not escape it... SO by the time she opened up I was willing to stand there and have a shower with her.
The rain is heavy, creating rivers and with its volume, its not to hard to understand, why the roads here are so badly damaged and somewhat temporary in places. The water is filling up tanks, rice paddies, rivers are rushing so hard now and so big, that it is wild and dangerous just to be nearby. Landslides are a real threat here and if you are living in the mountains it is a part of life and you could honestly wake up one morning to find half your village gone.

Settling in to life here is of course taking time... In a culture and place so vastly different to Australia, it is a constant jolt to the senses. Always asking you to step out of your head and into your heart. To not judge and just allow, to be an observer and try your best to blend into the way of life here.
Every day I practice a little more Nepali language and everyday I try to learn more about Hinduism. Yesterday I was reading about Hindu and came across this:
"Hinduism is not just a faith. It is the union of reason and Intuition that cannot be defined but is only to be experienced. Evil and error are not ultimate. There is no hell for that means there is a place where god is not, and there are sins which exceed his love."
Reading this was like WOW... Synchronistically I have lived with these thoughts for most of my life, there are so many things, sign posts and synchronisities flowing through my world right now confirming this experience for me..
Being here I am immersed and receive confirmation everyday .... I am loving this exploration of Hindu as it is an exploration of self and the universe. I am feeling more connected to my world than ever.
So many people are unaware that, nearly all spirituality and religions have evolved from hinduism. It is a way of life here, not a religion... The more I read the more I see that Man has manipulated these beautiful scriptures and rituals and misinterpreted so much that we are a long way from the original seeds of hinduism... However like Buddhism it is an invitation to connect and live in harmony with others and the planet. It is about being conscious, it is about creation and it is about balance, above all of the feminine and masculine and the roles and integration of these. Especially the different manifestations of things and necessity of this....
I am starting to see things from a different view, eg: I read on facebook one time that there were some muslim women saying that they liked their Burkas and other aspects of being female and muslim and many people struggled to understand this. Many people judged them. Something I have observed here is that women in Nepal are extremely capable and strong and although there are many areas which they could develop, I can appreciate certain aspects.

In Nepal public displays of affection are not welcomed between men and women. At first I thought this was small minded and they need to change that... However after being here for a while I am seeing the gold in this boundary. There is gold in keeping clear boundaries in relationships, there is gold in knowing what roles you are to play, there is a level of safety and security. What happens in the home between two people is sacred and not for public scrutiny, opinion or view. Having separate beds or rooms can mean that you keep some personal space and mystery. There are many ways to view these things. Love can be displayed to us and given to us in a myriad of ways, we just need to be open enough to receive it and not judge it. So many of us live with expectation. Expectation is where you meet disappointment and often can feel alone. When we open our hearts to acceptance and allow ourselves to receive then we get to see the blessings and the gold... Im enjoying the boundaries here. Im enjoying dressing in a way that does not make me an object of desire or for fashion or for any other reason. There is a certain freedom in this.... You can not understand a culture without living in it and learning about it. Immersion and experience is truly the only way to understand and learn in this world. The depth here is beyond comprehension.
